The Netherlands has found a way to refurbish existing buildings to net zero energy, within a week, with a 30-year builders’ guarantee and no subsidies. With new kitchen and bathroom! Now revolutionary renovation programme Energiesprong (literally: Energy Jump) is looking to take its learnings to France and the UK.
Inside the house, the pounding rain stills to distant murmur. That’s thanks to the triple glazing, points out Ron van Erck, enthusiastic member of Platform31, an innovation programme funded by the Dutch government that brings together different actors for out-of-the-box thinking to crack intractable problems. One of its big successes to date is Energiesprong, an initiative that turns the building market on its head to deliver social housing with zero net energy consumption, i.e. no energy bill, at zero cost to the tenant and with no subsidies to the builder.
Starting off in 2010 with three staff, a €50 million budget and five years to come up with something to make buildings more sustainable, Energiesprong today boasts 45 staff and a deal with 27 housing associations and four big construction companies to refurbish 111,000 houses in the Netherlands. Total investment? €6 billion. The initial focus is social housing, but it’s already looking at the private market, care centres and commercial office buildings too.
How does the plan work? The basic trick is that tenants instead of paying their energy bills, pay a similar amount to the housing corporations that own the houses. With this money, the corporations pay building companies to retrofit the houses, which after renovation have net zero energy costs. The building companies have for this project developed ‘industrialised’ renovation procedures that are highly cost-effective. One important difference with existing renovation projects is that all elements that are needed for a successful move to zero-energy housing are brought together in one plan.
Energy Post’s Sonja van Renssen met with manager Jasper van den Munckhof, to understand exactly what Energiesprong does, how it does it and why it will succeed – in the Netherlands and elsewhere.
Q: What was your starting point?
A: We started off with what we spend. The household energy bill in the Netherlands is about €13 billion. This money is available. If you spent it on a mortgage or payback on a loan of about 30 years [instead of energy], you have €225 billion to invest in the Dutch housing stock. This is substantial money: €30-40,000 per house to make it energy neutral.
“Retrofit wasn’t interesting – unless you were rich – but using the energy bill to fund it, no one had thought of that! A building and its energy system were developed as parallel, complementary but not integrated, entities.”
-Jan Kamphuis, BJW Wonen, a one-stop-shop for retrofits inspired by Energiesprong
The trick is, how to get this money flowing. We tried to imagine what owners would need to start investing. They buy kitchens and they don’t see this as an investment but good for their family. You need to get this focus on people and how they buy stuff, how they accept things. If you lose that focus and think it’s about financial arrangements, you won’t find a solution.
Q: So what will make people spend money on retrofits?
A: It needs to be very well done, like if they buy a car, they buy a decent one. It has to be fast – the problem with retrofitting (vs. buying new stuff) is that it’s usually a lot of trouble, dust and hassle. So we said one, the retrofits have to be done within a week. Two, it has to be affordable: ideally the cost to the tenant before and after should be equal. That means the energy bill converted to the mortgage or extra rent has to cover the full cost of the retrofit. Three, it has to be attractive. It needs to be something you see.
“We give people 3D glasses so they can really see how their kitchen might look in that colour, or whether the extension works. Like that, you create enthusiasm.”
-Jan Kamphuis, BJW Wonen, a one-stop-shop for retrofits inspired by Energiesprong
At lower-level retrofits it’s all about new boilers (stowed far away) and cavity wall insulation (invisible) – these are more rational decisions but you want to tune in to more emotional decision-making.
Q: We often hear about the difference between “shallow” and “deep” retrofits. How deep do you go?
A: The deepest you can get. If you want to have an energy performance warranty and you do half the house, you’re never sure how much leakage you have in the other half. If someone wants to give a guarantee – and they’re becoming very important if you do big investments and you want a loan – you need to do the whole thing: installation, insulation, ventilation, air tightness etc. The building gets a whole new envelope.
When the builder is fully in control, that’s when they start being able to give guarantees that even insurance companies are willing to insure. We found out that “zero on the meter” is the only thing you can get a performance guarantee on. That’s why we focus on that deep retrofit.
Q: What changes does it imply for the building sector?
A: The building sector today is based on craftsmanship. That needs to change. You need a building sector which will tune in to a more productised, industrialised sector: you have consumers who buy really big stuff for their houses and you have housing associations which now say to a builder “I want you to do this”. There is scope for a prefab approach.
If you go into the companies and the change they need to make, it’s not superficial, it’s a different product, a different business model, different people, and it will take some time. But it also creates work at home, in your own country. You have to see it from the perspective that the building sector is the last sector that is being industrialised.
“You need automation for quality and to get the price right. We only want 5% of the work to be done on-site. We want to deliver a modular, plug-and-play product.”
-Jan Kamphuis, BJW Wonen, a one-stop-shop for retrofits inspired by Energiesprong
We have the ideal housing stock for this transformation in the Netherlands: 2.4 million houses of a similar typology – terraced, 4-story blocks and high-rise. It’s the perfect platform for industrialisation. Yet every house has a window in a different spot, a different door or a slightly different width. What you really need is a mass customisation process. It shouldn’t be like cars – we simply shovel them out and sell them. You need a process for measuring, making, placing and maintaining these houses.
Q: Is it a way out of the economic crisis for builders?
A: One of the big incentives for the government is that if the retrofits fall into sync with normal market mechanisms and reach 50-60,000 a year as announced, times €50-60,000 per retrofit, equals enormous new turnover for the building sector. If you want to reach your 2050 climate and energy targets, you even need 100-200,000 retrofits per year. On top of that, there is bigger profit potential. Now builders probably make about 1% profit but a 10% profit margin will not be strange in future.
A lot of smaller builders will either become installers of retrofit packages or go out of business. The installation is not that complicated. He might not know what’s in there, but he will know how to install it.
We say to builders your biggest competitor is not your fellow builder but energy companies. Because it is their money you can use to get your revenue going. I think builders now understand it’s not about getting back to business as usual. They have at their disposal the €13 billion a year which customers spend on energy. That now becomes their market. It’s a completely new pool of money they can tap into and it’ll probably double or triple the pie they have to share amongst themselves.
“It’s really taking profits away from energy companies.”
Jasper van den Munckhof, Manager Energiesprong
Q: Do you see energy companies entering this space at all?
A: No. This is completely not their core competence. They have a few dynamics which makes it very hard for them. One is that they’ve been based on big projects where they can make a return on investment of say 10%. But this is small projects, not one big installation. They’re just not ready for this. If they want to do it, they can probably buy a building company. But it just doesn’t fit into their whole big system thinking.
Q: Do builders have the necessary energy expertise to make decisions over more insulation vs. more solar panels for example?
A: It’s true that the installers decide the package. The question is good – they don’t know how to do this but they’re very willing to learn. The four construction companies we’ve partnered with said they need a certain volume [of retrofits] to get an ROI on this learning process. That’s what the social housing associations provide. They are also building prototypes to learn how to do it. Then you see it’s not only the building but the whole supply chain that needs to change.
“For young people new thinking is easy. If you work with existing interests, it’s much more complicated. We’ve developed our own tools to assess which building requires which [retrofit] package.”
-Jan Kamphuis, BJW Wonen, a one-stop-shop for retrofits inspired by Energiesprong
Q: What are the changes for suppliers to builders?
A: If you’re a lighting company and you want to get into the car industry, you’re not going to think of a new light, you’re going to look at a Mercedes and ask ‘how does a light fit into this package?’ What you want for the building suppliers industry, is for them to look at a [retrofit] package and from there on start innovating. If builders are often small, building suppliers are big companies with innovation potential. You want them to think about whole components, not just the materials going in.
Q: Are you on track with the whole programme?
A: We will build 300-350 prototypes this year. It should have been 1000, but the rollout is slower than we originally envisaged. That’s for a number of reasons. One is that we’ve got more a demand-led approach – normally you would go into an area, convince 70% of the residents to accept a retrofit (that threshold is set by the government), and then do the whole area. So you might do 150 houses after a 3-year communications campaign. But we wanted to move faster. So we’ve gone in one-by-one, row-by-row. It’s a bottom-up approach.
We also realised that these are prototypes that people actually look at. So they have to be really good – better than we initially thought – which takes the builders a bit longer.
We also need a law to be changed. That law is now in Parliament. It’s a small change but it will mean housing associations can give an energy service to a renter – this was not possible before. The whole business model is only possible with this change, which will probably only happen in mid-2015. We can test on a smaller scale now, knowing that the first 1000 prototypes will be ready by then.
And finally, apart from the usual administrative delays, nobody knows exactly when the price point for a zero net energy conversion at zero net cost to the tenant will be reached.
Q: At what point does all this become commercially viable?
A: For a typical terraced house, builders need to reach price level of about €60,000 including new kitchen and bathroom (or €40-45,000 without). We’re now on about €70,000 and for every project to date you’ll see about €10,000 added on top of that for asbestos. But we’ve already come down by 40% compared to the first pilots nearly three years ago, while going from a 50% energy improvement to net zero energy.
The positive side is also that we’re starting to do high-rise buildings and the prices are a lot lower there. All the builders believe they’re going to make it.
Q: Where is the biggest remaining potential for bringing down costs?
A: The “control box” behind the house that they’ve invented – that’s something you can get suppliers to innovate [more] on. That’s the plan from now. We’ve said that if builders as general contractors can define the required performance of components, we will help them get the right price from suppliers. That’s the next step, organising demand from builders.
Q: Where do you go from here?
A: What we did with housing associations is a stepping stone to the private market. At the end of September, we are closing a deal for private homeowners. We cannot guarantee the same volume, but we have 40 municipalities who are going to reach out to people, 20 energy cooperatives who will go to their members, 4 major mortgage banks who are willing to put up an extra €45,000 of mortgage on top of the regular limit if you buy these guaranteed energy-neutral propositions, 3 major surveying associations which will give energy performance a place in their surveying (they don’t today), and 7 retrofit shops that say they will sell the retrofit packages. And about 25 more construction companies want to learn. That’s how we are trying to scale up.
After that, I’d like to prove that what we are doing with similar houses, you can do with any kind of house. You need a different package, but I am quite sure it’s possible. This can be a €200 billion a year market. Now we have plain vanilla, but we can tune into different desires and societal problems we need to solve.
“Based on my experience of new factories in the automotive sector, I realised a lot of improvement was possible in the building sector. With a fully automated factory, you can produce different variants of the same basic product. At the VW factory in Wolfsburg, no two cars are exactly identical for every 200,000 made.”
-Jan Kamphuis, BJW Wonen, a one-stop-shop for retrofits inspired by Energiesprong
Q: Are there any other policy changes required for Energiesprong to realise its full potential?
A: You have to differentiate mortgages against the energy performance of houses. Now you have a loan-to-income ratio that doesn’t take into account that one house will cost €40,000 more in electricity bills over the next 10 years. Once you differentiate that mortgage, you will differentiate the prices of houses because there is a strong correlation between house prices and the mortgage you can get for them. It’s not actually a law but every year, the Minister announces how mortgages will work. You could also align them with energy labels e.g. a G label will have a lower loan-to-income ratio. It would be a revolution.
At the end of 2014, the government will next set boundary conditions for what banks are allowed to do and they need to be wide enough for this. We already have €13,500 extra available to make new-build energy neutral. What we need for net zero energy refurbishments is a differential of €45,000.
“The main policy objective is to get the loan-to-income ratio for a mortgage differentiated according to the energy performance of a house.”
Jasper van den Munckhof, Manager Energiesprong
Q: Do you see support from EU policies to improve the energy efficiency of buildings?
A: Policymakers are very big believers in their own policies. But with energy labels, mandating ESCOs [energy service companies] etc you’re never going to reach your goal of energy neutral buildings by 2050. You’d better target one big retrofit per building over 40 years than try out 20 small patches. The main thing policymakers have to become aware of is that their own regulation is actually holding back these bigger steps.
Q: After the Netherlands your plans now are to expand into the UK and France. Why these?
[Unrelated to this page: materials data]
____________
Computed powder X-ray diffraction pattern
Compound: KMg6TiO8
Radiation: λ = 1.5418 Å (Cu Kα)
Structure: a crystal structure in the Materials Project, relaxed with PBE
No peak broadening, texture or thermal motion is included.

Top 8 peaks for 10° ≤ 2θ ≤ 90°, low angle first:
- hkl 0 0 1, 2θ 10.1, I 10.1
- hkl 0 0 3, 2θ 30.4, I 8.0
- hkl 1 1 2, 2θ 35.3, I 27.5
- hkl 2 0 0, 2θ 40.9, I 100.0
- hkl 0 0 4, 2θ 41.0, I 47.3
- hkl 2 2 0, 2θ 59.3, I 82.5
- hkl 3 1 2, 2θ 70.8, I 9.9
- hkl 2 2 4, 2θ 74.5, I 24.5

```
data_KMg6TiO8
_chemical_formula_sum 'K1 Mg6 Ti1 O8'
_space_group_name_H-M_alt 'P 1'
_space_group_IT_number 1
_cell_length_a 4.4140
_cell_length_b 4.4140
_cell_length_c 8.8012
_cell_angle_alpha 90.00
_cell_angle_beta 90.00
_cell_angle_gamma 90.00
loop_
_space_group_symop_operation_xyz
'x,y,z'
loop_
_atom_site_label
_atom_site_fract_x
_atom_site_fract_y
_atom_site_fract_z
K1 0.0000 0.0000 0.0000
Mg1 0.0000 0.0000 0.5000
Mg2 0.0000 0.5000 0.2569
Mg3 0.0000 0.5000 0.7431
Mg4 0.5000 0.0000 0.2569
Mg5 0.5000 0.0000 0.7431
Mg6 0.5000 0.5000 0.5000
Ti1 0.5000 0.5000 0.0000
O1 0.0000 0.0000 0.2756
O2 0.0000 0.0000 0.7244
O3 0.0000 0.5000 0.0000
O4 0.0000 0.5000 0.5000
O5 0.5000 0.0000 0.0000
O6 0.5000 0.0000 0.5000
O7 0.5000 0.5000 0.2431
O8 0.5000 0.5000 0.7569
```

Computed powder X-ray diffraction pattern
Compound: GdAu
Radiation: λ = 1.5418 Å (Cu Kα)
Structure: a crystal structure in the Materials Project, relaxed with PBE
No peak broadening, texture or thermal motion is included.

Top 8 peaks for 10° ≤ 2θ ≤ 90°, low angle first:
- hkl 1 0 0, 2θ 24.4, I 1.7
- hkl 1 1 0, 2θ 34.8, I 100.0
- hkl 1 1 1, 2θ 42.9, I 0.6
- hkl 2 0 0, 2θ 50.0, I 18.1
- hkl 2 1 0, 2θ 56.4, I 0.8
- hkl 2 1 1, 2θ 62.3, I 37.5
- hkl 2 2 0, 2θ 73.3, I 11.7
- hkl 3 1 0, 2θ 83.8, I 16.8

```
data_GdAu
_chemical_formula_sum 'Gd1 Au1'
_space_group_name_H-M_alt 'P 1'
_space_group_IT_number 1
_cell_length_a 3.6509
_cell_length_b 3.6509
_cell_length_c 3.6509
_cell_angle_alpha 90.00
_cell_angle_beta 90.00
_cell_angle_gamma 90.00
loop_
_space_group_symop_operation_xyz
'x,y,z'
loop_
_atom_site_label
_atom_site_fract_x
_atom_site_fract_y
_atom_site_fract_z
Gd1 0.0000 0.0000 0.0000
Au1 0.5000 0.5000 0.5000
```

Computed powder X-ray diffraction pattern
Compound: PdCNCl2O
Radiation: λ = 1.5418 Å (Cu Kα)
Structure: a crystal structure in the Materials Project, relaxed with PBE
No peak broadening, texture or thermal motion is included.

Top 8 peaks for 10° ≤ 2θ ≤ 90°, low angle first:
- hkl 0 1 1, 2θ 11.5, I 100.0
- hkl 0 0 2, 2θ 12.0, I 59.8
- hkl 1 1 0, 2θ 23.3, I 16.5
- hkl 1 1 -1, 2θ 23.4, I 11.9
- hkl 1 1 -2, 2θ 25.1, I 11.7
- hkl 1 1 -3, 2θ 28.0, I 18.0
- hkl 1 2 -1, 2θ 29.1, I 29.4
- hkl 1 1 4, 2θ 35.7, I 11.3

```
data_PdCNCl2O
_chemical_formula_sum 'Pd4 C4 N4 Cl8 O4'
_space_group_name_H-M_alt 'P 1'
_space_group_IT_number 1
_cell_length_a 4.2438
_cell_length_b 9.0196
_cell_length_c 14.8257
_cell_angle_alpha 90.00
_cell_angle_beta 96.70
_cell_angle_gamma 90.00
loop_
____________
[So much for the materials data]
A: We saw that there is a big political urgency to retrofit in the UK and France. They also have strong housing associations, a decent volume of similar houses and a professionally organised building sector. Going to the UK and France means huge volumes for building suppliers. Unlike local builders, the big material and component suppliers are pan-European. A lot of them need a bigger scale before they will innovate. Bosch will not get involved for 100,000 houses, but it will for 500,000.
We have requested €10 million in EU funds to help us get started in the UK and France. The European Commission will discuss this bid for a slice of its Horizon 2020 programme for research and development in the next weeks, for a decision in early November.
We looked at Germany, Spain, Denmark, Sweden and Belgium too. Spain was possible but mostly high-rise, privately-owned share holds, and in a difficult financial situation. Denmark has a lot of district heating – which you will bankrupt if you take off 20% of connections through such retrofits. And since the district heating companies are [often] owned by the municipalities, that’s a problem. Belgium had political challenges. And Germany has a much higher quality building stock and they’re quite partial to solving problems with regulation. The Brits, in contrast, are more market-based and in France, Hollande made a promise to refurbish 500,000 houses a year from 2017 that he is looking for good ideas on how to fulfil.
Q: What about Central and Eastern Europe, where we often hear the potential for energy savings from buildings is highest?
A: I’m not sure it’s the place where you want to develop it, but sell it, yes. The panel block flats there are perfect. Although you also have quite powerful district heating networks… Five years ago, the only way to cool your house was to open the window – there was not even a closing valve on the radiator! In Eastern Europe, there are many spots where people really pay a lot for energy though. I would be happy to go from France and the UK, via the suppliers. They could go to local builders in Poland and so develop it there.
Q: What is your ultimate goal?
A: That people live in better houses, are not dependent on energy anymore and have power over their own energy. Energy became so politicised… who do you know who drives in a 1970s car? In housing stock, it goes a lot slower but you need to get them to 21st century also.
Source: Energy Post. Reproduced with permission.